## Listing
# 1
C6H14FN2O4PS | wB97M-V/def2-TZVPD

Geometry (Å):
1 C 2.93 -1.03 -1.74
2 O -0.51 -1.97 0.11
3 O 0.02 -2.87 2.32
4 C 2.07 0.17 -1.34
5 H 0.57 2.94 -0.19
6 C -0.20 1.61 1.18
7 C -0.77 0.25 0.81
8 H 2.26 1.00 -2.01
9 H -0.98 2.47 -0.55
10 H -2.69 1.46 -0.62
11 H 2.39 0.44 -0.34
12 H 2.96 -1.14 -2.81
13 H -2.76 -0.81 -0.62
14 H 0.54 -1.12 -2.00
15 F -0.23 0.71 -1.95
16 H -3.22 0.38 2.26
17 C 0.60 -0.24 -1.37
18 N -3.65 0.39 1.34
19 H 3.92 -0.98 -1.31
20 S -0.94 -2.07 1.67
21 H 2.46 -1.92 -1.34
22 N -0.32 2.67 0.18
23 O -0.75 -0.50 2.07
24 H -0.77 1.93 2.05
25 H 0.98 -0.77 0.65
26 H 0.83 1.52 1.50
27 P -2.57 0.32 0.21
28 O -2.27 -2.45 1.86
29 C 0.12 -0.67 0.00

The value obtained for the molar mass is 260.23 g mol⁻¹. The calculation puts the HOMO energy at -8.8 eV. The net charge is 0. For the LUMO energy, the calculation gives 0.5 eV.

# 2
CHN2O4S | wB97M-V/def2-TZVPD

Geometry (Å):
1 O 0.13 1.02 0.83
2 S 1.32 0.27 -0.03
3 O -1.93 -1.52 -0.33
4 N 0.31 -1.47 0.00
5 N -1.05 0.40 0.33
6 H -1.72 1.08 -0.10
7 O 2.54 0.38 0.68
8 O 1.29 0.85 -1.37
9 C -0.89 -1.00 0.00

The value obtained for the molar mass is 137.10 g mol⁻¹. The SMILES is O=C1N=[S@](=O)([O-])ON1. The calculation puts the HOMO energy at -5.0 eV. The net charge is -1. For the LUMO energy, the calculation gives 3.9 eV.

# 3
C32H41F7N2O25 | wB97M-V/def2-TZVPD

Geometry (Å):
1 O 2.82 0.30 -2.89
2 C -3.15 -3.10 6.02
3 H 6.61 -0.86 -10.34
4 F 4.14 -3.27 -6.82
5 C 1.57 0.52 -2.43
6 H -3.68 -4.38 7.67
7 H -0.38 -3.64 0.99
8 C -5.97 4.92 1.20
9 H 2.43 -4.04 -6.14
10 O -5.20 -3.11 7.06
11 C 1.88 4.00 0.84
12 C -4.85 5.38 3.10
13 H 2.43 3.85 1.78
14 H 7.27 -2.84 -9.02
15 O -1.75 -1.30 1.79
16 C -1.31 -1.86 2.94
17 O 1.32 -0.47 4.16
18 C 6.97 -0.68 -9.34
19 C -0.76 -1.48 0.77
20 O -5.95 4.74 2.60
21 H 3.17 -2.26 -1.98
22 C 6.17 -0.99 -7.25
23 O -1.85 -1.79 3.99
24 C 3.57 -3.09 -4.51
25 H 3.51 -2.72 -0.24
26 H 3.32 -0.24 0.29
27 O -4.18 -3.46 5.11
28 H 1.61 -1.07 6.12
29 O -5.33 -0.95 0.61
30 H 0.88 1.31 -0.25
31 H 4.52 -2.56 -4.46
32 H 0.22 3.54 -2.73
33 H -4.31 5.76 0.03
34 F 1.32 -2.61 1.00
35 H -4.18 0.84 -1.12
36 C 1.92 -1.35 5.12
37 C -4.50 5.11 0.87
38 H -7.54 -0.73 3.79
39 C 0.40 4.12 1.18
40 H 2.25 4.94 0.42
41 H 2.88 3.23 -0.93
42 H 0.11 3.41 1.97
43 O -4.67 5.62 4.24
44 O 5.51 -0.87 -6.27
45 O 7.33 -1.69 -7.33
46 H -2.87 -2.06 5.83
47 O -4.01 5.70 2.09
48 H 3.95 1.36 -1.48
49 H 0.18 5.12 1.56
50 O 1.93 0.31 2.15
51 H -4.20 1.92 0.28
52 C 3.82 0.33 -1.82
53 C 2.19 -0.26 3.16
54 C -3.82 -3.34 7.36
55 F -6.49 3.81 0.62
56 F 8.99 -1.85 -8.85
57 H -3.07 0.53 0.21
58 C 3.40 -1.13 4.84
59 H 1.64 -2.38 4.90
60 H -1.85 2.61 -3.27
61 N 1.13 2.17 -0.73
62 C -5.73 0.44 3.66
63 C -1.15 1.87 -2.88
64 H -0.12 -0.60 0.74
65 F 4.14 -2.24 5.03
66 O 3.40 -0.79 3.46
67 H -3.49 -2.67 8.15
68 H -5.42 1.48 3.54
69 O 4.06 -5.10 -5.49
70 C 2.28 2.84 -0.11
71 O 0.75 -0.36 -2.36
72 O -1.50 1.55 -1.53
73 O 4.13 -6.33 -3.60
74 O -0.15 -2.54 2.70
75 C -5.38 -3.28 5.73
76 H -1.23 -1.64 -0.20
77 C 7.65 -1.87 -8.69
78 C 3.94 -5.30 -4.14
79 H 0.61 2.38 -4.00
80 C -3.55 1.32 -0.36
81 F -2.07 -3.89 5.82
82 O -6.42 -3.25 5.17
83 H 7.64 0.19 -9.32
84 O -2.62 3.42 -1.02
85 O -7.02 -0.15 1.87
86 H 3.85 -0.31 5.40
87 H -4.01 4.15 0.71
88 C 3.45 -3.86 -5.81
89 F -5.45 0.06 4.92
90 H -6.61 5.77 0.96
91 O -5.00 -0.37 2.76
92 N 1.31 1.89 -2.12
93 O 3.55 -4.15 -3.55
94 H 2.76 -2.39 -4.32
95 C 0.26 2.47 -2.96
96 H 4.74 0.02 -2.31
97 H -0.24 3.95 0.32
98 H -7.84 0.99 3.39
99 C 3.53 -0.63 -0.70
100 H -1.25 0.97 -3.49
101 C -7.17 0.15 3.26
102 H 2.92 2.13 0.43
103 O 5.87 -0.44 -8.45
104 C -5.76 -0.55 1.64
105 C 0.01 -2.67 1.30
106 C -2.54 2.22 -1.00
107 C 3.41 -1.94 -0.97

The value obtained for the molar mass is 986.65 g mol⁻¹. The SMILES is C=CCOC(=O)N(CCOC(C)=O)NCCC.O=C1OC[C@@H](F)O1.O=C1OC[C@@H](F)O1.O=C1OC[C@@H](F)O1.O=C1OC[C@@H](F)O1.O=C1OC[C@@H](F)O1.O=C1OC[C@@H](F)O1.O=C1OC[C@@H](F)O1. The calculation puts the HOMO energy at -8.7 eV. The net charge is 0. For the LUMO energy, the calculation gives 0.5 eV.

# 4
## Exercise
Now retype only the lines above with the word "net" in them.
## Outcome
The value obtained for the molar mass is 260.23 g mol⁻¹. The calculation puts the HOMO energy at -8.8 eV. The net charge is 0. For the LUMO energy, the calculation gives 0.5 eV.
The value obtained for the molar mass is 137.10 g mol⁻¹. The SMILES is O=C1N=[S@](=O)([O-])ON1. The calculation puts the HOMO energy at -5.0 eV. The net charge is -1. For the LUMO energy, the calculation gives 3.9 eV.
The value obtained for the molar mass is 986.65 g mol⁻¹. The SMILES is C=CCOC(=O)N(CCOC(C)=O)NCCC.O=C1OC[C@@H](F)O1.O=C1OC[C@@H](F)O1.O=C1OC[C@@H](F)O1.O=C1OC[C@@H](F)O1.O=C1OC[C@@H](F)O1.O=C1OC[C@@H](F)O1.O=C1OC[C@@H](F)O1. The calculation puts the HOMO energy at -8.7 eV. The net charge is 0. For the LUMO energy, the calculation gives 0.5 eV.